Tips for Word Template Users - Most Common Corrections Required
- If you are moving text into a Word template, paste in without formatting and then use the built-in Styles to format the text. This will keep formatted text from changing the template styles.
- Make sure body text throughout document is 1.5 line spacing rather than double spaced. Captions should be single spacing.
- Turn on formatting symbols so you can see all tabs and returns, especially returns at the top of pages. Also turning on "gridlines" in the View menu will help you see the margins and especially where text or figures go into the margins and need to be reduced in size.
- Using Styles for heading/subheading formatting also helps to automatically populate the Table of Contents. Styles will make your job easier when you add, delete, or move content so that updating the Table of Contents is just a few clicks of the mouse.
- Chapter titles that show in the document as all capital letters but do not show in the Table of Contents as all caps were not typed in all capital letters (even though the chapter heading style shows it in all caps). If this happens, go back to the chapter and retype the title in all caps and then update the Table of Contents - it should show as all capital letters then.
- Make sure chapters and major sections start on a new page.
- Use the Add Caption function for captioning Tables and Figures to allow you to auto-populate the List of Tables and List of Figures. Likewise, using this function will allow easy updating when Figures and Tables change page numbers.
-- Attached: data records --
Computed, not measured: a geometry-optimized Dy2BePd structure at the PBE-GGA level of DFT.

Properties
E = -4.9333 eV per atom
space-group type = P4/mmm (123)
D(E_F) = 2.2 states/eV per cell
polymorph energy (0 for the lowest one) = 0.000 kcal/mol of atoms

The structure in POSCAR format:
```
Dy2BePd
1.0
3.486 0.000 0.000
0.000 3.486 0.000
0.000 0.000 6.823
Dy Be Pd
2 1 1
direct
0.000 0.000 0.244 Dy
0.000 0.000 0.756 Dy
0.500 0.500 0.000 Be
0.500 0.500 0.500 Pd
```



Computed, not measured: a geometry-optimized NpSnPdO6 structure at the PBE-GGA level of DFT.

Properties
energy relative to the elements, uncorrected = -1599 meV/atom
E = -7.3645 eV per atom
space-group type = P-31c (163)
D(E_F) = 9.1 states/eV per cell

The structure in POSCAR format:
```
NpSnPdO6
1.0
5.487 0.000 0.000
-2.743 4.752 0.000
0.000 0.000 9.311
Np Sn Pd O
2 2 2 12
direct
0.333 0.667 0.250 Np
0.667 0.333 0.750 Np
0.333 0.667 0.750 Sn
0.667 0.333 0.250 Sn
0.000 0.000 0.000 Pd
0.000 0.000 0.500 Pd
0.002 0.349 0.132 O
0.002 0.653 0.368 O
0.347 0.349 0.368 O
0.347 0.998 0.132 O
0.349 0.002 0.632 O
0.349 0.347 0.868 O
0.651 0.653 0.132 O
0.651 0.998 0.368 O
0.653 0.002 0.868 O
0.653 0.651 0.632 O
0.998 0.347 0.632 O
0.998 0.651 0.868 O
```



Computed, not measured: a geometry-optimized Ti3AuN structure at the PBE-GGA level of DFT.

Properties
energy relative to the elements, uncorrected = -944 meV/atom
E = -8.0016 eV per atom
space-group type = P-1 (2)
D(E_F) = 9.7 states/eV per cell

The structure in POSCAR format:
```
Ti3AuN
1.0
3.043 0.000 0.000
1.520 5.587 0.000
1.516 -0.350 8.427
Ti Au N
6 2 2
direct
0.098 0.022 0.283 Ti
0.150 0.223 0.978 Ti
0.399 0.480 0.224 Ti
0.601 0.520 0.776 Ti
0.850 0.777 0.022 Ti
0.902 0.978 0.717 Ti
0.341 0.280 0.536 Au
0.659 0.720 0.464 Au
0.380 0.876 0.864 N
0.620 0.124 0.136 N
```



Computed, not measured: a geometry-optimized PuTcPd structure at the PBE-GGA level of DFT.

Properties
E = -9.7967 eV per atom
space-group type = Amm2 (38)
D(E_F) = 12.1 states/eV per cell

The structure in POSCAR format:
```
PuTcPd
1.0
14.503 0.000 0.000
0.000 1.434 2.471
0.000 -1.434 2.471
Pu Tc Pd
2 2 2
direct
0.170 0.000 0.000 Pu
0.830 0.000 0.000 Pu
0.000 0.786 0.786 Tc
0.500 0.986 0.986 Tc
0.350 0.651 0.651 Pd
0.650 0.651 0.651 Pd
```



Computed, not measured: a geometry-optimized NiHN2 structure at the PBE-GGA level of DFT.

Properties
E = -4.7459 eV per atom
space-group type = R-3m (166)
D(E_F) = 1.9 states/eV per cell
polymorph energy (0 for the lowest one) = 25.267 kcal/mol of atoms

The structure in POSCAR format:
```
NiHN2
1.0
1.397 0.806 4.593
-1.397 0.806 4.593
0.000 -1.613 4.593
Ni H N
1 1 2
direct
0.000 0.000 0.000 Ni
0.500 0.500 0.500 H
0.130 0.130 0.130 N
0.870 0.870 0.870 N
```



Computed, not measured: a geometry-optimized K2IrPt structure at the PBE-GGA level of DFT.

Properties
E = -3.4451 eV per atom
space-group type = F-43m (216)
D(E_F) = 6.1 states/eV per cell
polymorph energy (0 for the lowest one) = 13.603 kcal/mol of atoms
- Table captions are always above the table and figure captions below the figure.
- Tables or figures that continue to the next page because they are longer than 1 full page need to have continuation notation at the top of subsequent pages (Table 1, continued, etc.).
- Where a table or figure and its caption do not fit on a page together, the caption should be alone on the preceding page, centered vertically as well as horizontally on the page, and the table or figure on the following page. Captions for figures should not split to the next page.
- Utilize the numbering function to format references at the end of chapters or end of the document with a hanging indent (number at left margin with consistent indent of subsequent lines where all text lines up at a half inch in from the margin)
- Choose the "add after" setting in the Paragraph menu to add a little extra space between each reference to aid readability rather than adding a return between references.
- Make sure references do not split between pages - move a split to the next page. Wait to do this as one of the last editing steps because changing one reference or edits to body text could cause splits down the line - especially in chapter references as they do not usually start on a new page.
- The template gives involved instructions for numbering landscape pages using section breaks and this has worked well for students for years. Instructions here.
- If you are unable to make the instructions in Word work (especially students using Word for Mac), you can make the changes in the final PDF of your document if you are sure you have no other changes to make. Find instructions here to change page number in your PDF final copy.